Tuesday, 17 June 2008

Tuition Fees : Fightback in Germany

This article is from http://www.socialistworld.net/ and it shows that the NUS strategy of drinking champagne with government ministers is not an effective way of campaigning to defeat fees.

With the cap on fees up for review next year, the resistance shown in Germany is an example of what can be achieved with a strong campaign and a willingness to fightback.

The tuition fees disaster
Hessen federal state forced to promise to abolish student financial burden

Interview with Sebastian Förster, student activist

In Germany universities tuition fees were introduced federal state by federal state. The highest charge is 500 euro per semester, plus administrative and travel costs of about 250 euro. So far, half of the federal states have introduced the new fees. However, after mass student protests, Hessen is now the first federal state that intends to abolish tuition fees, although recently the federal supreme court decided by a close vote (5:6) that the fees are justified.

After last January’s state elections, the Left party (die LINKE), entered Hessen parliament. A result of this was that, so far, no coalition government has been agreed that could provide a stable government. Now the issue of tuition fees has become a focal point of the Hessen government crisis. Although the Hessen parliament voted to abolish the fees, Roland Koch (CDU – Christian Democrats), the outgoing state premier, who is now acting as a caretaker leader, refused to sign the fees legislation.

We spoke to Sebastian Förster, a student who helped to lead the university protests in the Hessian city, Fulda, in 2006/07, and who, at the moment, actively supports the ‘Tear down the Education Blockade’ school students’ strike committee in Berlin

Anne Engelhardt (AE):
In 2006, Hessens’ premier, Ronald Koch, announced the introduction of tuition fees from winter 2007. What was the reaction in the universities and colleges?
Sebastian Förster (SF):
Koch is, mainly amongst young people in Hessen, a hated politician. He carried out social cuts, especially in the education sector, and during election campaigns he used racism as a political football, time and time again. With the announcement of the introduction of general tuition fees, he provoked massive resistance on universities and colleges.

In many places, spontaneous demonstrations and occupations took place. Everywhere, general assemblies were held, to discuss further steps. In my university, we organised a one week strike. Strike committees were built, in which many students could play a part in. For many, it was the first time that they went to a demonstration. The protest gained a high level of militancy within a short time. Over ten thousands students went on the streets for one semester. Later, over fifty thousand people in Hessen took part in a petition campaign against study fees.

What were the most outstanding protests?
Perhaps most spectacular action was the occupation of the motorways and stations. The police used massive violence against these blockades. There was a demonstration at the end of the semester in Frankfurt, where 300 students and school students were brought into custody and were maltreated.

The outstanding feature of these education protests in Hessen was that many students saw the tuition fees in connection to the general social cuts and tried to bring the protests to a broader level. Their idols were the protests by youth in France, which, together with working people, could build a movement against the proposal removal of young workers’ protection from dismissal.

"Tous ensemble – all together!" and "For solidarity and free education", were the slogans on many protests in Hessen.

Were there links made with workers’ struggles? Were the student protests supported by the trade unions?
For one section of the students it was clear that to resist successfully against tuition fees a joint fight with workers was necessary. We also tried to connect to the unions.

The union for teachers and education, GEW, which in Hessen is further to the left, organised a strike against the employees attacks in the education sector and organised a joint demonstration with the students. Other unions were felt under pressure and supported our campaigns, but they did not mobilise their members for demonstrations. United strikes, like those we saw in France, took place seldomly and then only as initiatives from below.

The SAV (Socialist Alternative - CWI in Germany) played a decisive role in some cities, by organising such struggles. There were a few united strikes and protest days with public sector workers and workers from Telekom - against outsourcing, privatising and tuition fees. We also took the initiative to organise a big student demonstration on a national trade union action day, where we demonstrated together with union members and unemployed.

How do you judge the possible abolishment of tuition fees in Hessen? Why do the Greens and the Social Democrats speak against tuition fees, while, at the same time, demand them in other federal states?
The neo-liberal parties in Hessen are in a big crisis. Currently, they cannot form a state government. First and foremost, tuition fees play a decisive role. Koch’s party, the CDU, has been badly shaken because of the continual student protests and the big blow of losing over a quarter of their votes in last January’s state election. Now, the CDU cannot govern on its own, anymore.

However, the SPD and the Greens cannot create a new government. The reason for this is because the new party, the Left party (DIE LINKE), has deeply shaken the political system in Hessen, as in other parts of Germany.

Despite Hessen not having a properly constituted government, the newly elected Left party, spoke together with SPD and Greens, argued against the fees and the Hessen parliament voted to end them. On a national level, the former SPD and Green coalition government paved the way for tuition fees and supported the enabling law. To get votes in the last Hessen election they were forced to act against their own usual policy and promised the abolishment of tuition fees. While the Left party in Hessen is seen in clear opposition to social cuts and cuts in education, the SPD’s repeated changes of policy, often just for elections, shows that it is not an alternative.

-- begin --
1.
-- stop --
(So much for the quantum chemistry results)

Many students at colleges and universities celebrate with the certainty: The abolishment of tuition fees is a success for our resistance!

On 22 May, 8,000 school students went on strike in Berlin and on 12 June, in several other cities, school student strikes took place. Now, the German chancellor Angela Merkel, states she wants to make education to a “key issue”. How do you judge the current school student protests in Germany? What do the students demand and how can they achieve their aims?
The school students in Berlin and Germany, in general, faced a massive decline in the quality of their education. Even before the latest attacks, the German school system has been the most selective in Europe. Thousands of school students went onto the streets in the last days, demanding the restoration of the 13th school year that was cut recently. They fight for smaller classes and more teachers (an average class size of 32 is not acceptable anymore). The abolishment of the unjust ‘three-tiered school system’, which selects all pupils for economic ‘suitability’, after the fourth or sixth class, is also an important demand of the school students.
Essential for the success of the struggle, is that as many people as possible get active and play a role. The building of strike committees, like in Berlin, but also in other cities, will be increased – so, in autumn, this could lead to a new, bigger strike. This time, hopefully, on a bigger, national level.

To create decisive pressure, to achieve our demands, it is necessary to get employees and workers involved in the protests. With a strike, á la France, school students, HE students and workers united – this will be possible

1 comment:

Leftwing Criminologist said...

I saw this interview there too - i found it really interesting. It's a pity we don't do more things on student struggles in other countries with socialist students.